Author Topic: King of page X  (Read 17283 times)

As I am about to reply it shows all the previous posts. Mario's can't honestly say he never saw the spam.

no one is saying he never saw it he was just replying to it saying he hates it in a fashion thats commonly used when stuff like this happens

• These quantum chemistry results were left in the piece by mistake:
The following is a DFT calculation (ωB97M-V/def2-TZVPD) of 2 unconnected molecules or ions with the total composition C9H14O in a non-equilibrium geometry.

Computed properties:
lowest unoccupied orbital energy = 0.03336 Ha
E = -426.54513 Eh
net charge = 0
energy above the lowest of the compared OMol25 structures with the same formula, charge and spin = 0.752 eV
max |F| = 2.16 eV/Å
SMILES string = Cc1ccc(O)cc1.CC
HOMO = -8.429 eV

Each line ends with the Mulliken charge.
Cartesian coordinates (Å):
1 C -0.35287 2.46928 1.47065  -1.4709
2 C -0.52316 1.00708 1.15160  0.7040
3 C 0.45870 0.06121 1.42596  -0.3714
4 C 0.21937 -1.29340 1.23397  -0.6886
5 C -1.01351 -1.74379 0.79132  0.6095
6 O -1.19888 -2.97553 0.20406  -0.5265
7 C -2.02429 -0.82961 0.50362  -0.5490
8 C -1.78248 0.49683 0.83588  -0.4146
9 H -0.10700 2.55516 2.52923  0.3388
10 H -1.27250 3.02559 1.31095  0.3645
11 H 0.44253 2.91941 0.87662  0.3027
12 H 1.45155 0.35379 1.74485  0.3796
13 H 0.99183 -1.99677 1.50876  0.3265
14 H -0.54425 -3.63322 0.46622  0.3021
15 H -2.97172 -1.04260 0.04605  0.4212
16 H -2.58709 1.22072 0.73505  0.2544
17 C 1.24444 -0.78340 -1.80652  -0.3782
18 C 1.57892 0.58640 -2.40830  -0.8798
19 H 0.38443 -0.60706 -1.17271  -0.1375
20 H 0.84366 -1.50099 -2.52954  0.3814
21 H 2.09533 -1.24226 -1.31034  0.2660
22 H 2.60278 0.74681 -2.72005  0.3119
23 H 1.22715 1.35420 -1.71446  0.1640
24 H 0.83703 0.85214 -3.17288  0.2899

The following is a DFT calculation (ωB97M-V/def2-TZVPD) of 2 unconnected molecules or ions with the total composition C9H14O in a non-equilibrium geometry.

Computed properties:
lowest unoccupied orbital energy = 0.03346 Ha
E = -426.54708 Eh
net charge = 0
energy above the lowest of the compared OMol25 structures with the same formula, charge and spin = 0.699 eV
max |F| = 2.18 eV/Å
SMILES string = Cc1ccc(O)cc1.CC
HOMO = -8.543 eV

Each line ends with the Mulliken charge.
Cartesian coordinates (Å):
1 C -1.16239 1.21039 2.98714  -1.3798
2 C -0.81785 0.30982 1.83685  0.7689
3 C 0.35084 -0.42020 1.85871  -0.5928
4 C 0.88376 -0.97588 0.69467  -0.7343
5 C 0.03142 -1.06249 -0.39246  0.6351
6 O 0.20122 -2.09711 -1.30970  -0.5523
7 C -1.19323 -0.39604 -0.44765  -0.5752
8 C -1.64041 0.24910 0.69886  -0.3689
9 H -1.13630 0.72074 3.96199  0.3575
10 H -2.19225 1.56681 2.86748  0.3676
11 H -0.52222 2.08795 3.09179  0.2854
12 H 0.99177 -0.29253 2.73017  0.3430
13 H 1.73123 -1.64979 0.74001  0.3178
14 H 1.04779 -2.02828 -1.73747  0.3631
15 H -1.79943 -0.42083 -1.34079  0.4172
16 H -2.56837 0.80676 0.71108  0.3160
17 C 1.03653 1.08703 -3.11580  -0.8105
18 C 1.66278 1.37876 -1.75907  -0.6859
19 H 1.71868 1.37481 -3.91933  0.3246
20 H 0.70339 0.06111 -3.23726  0.2325
21 H 0.16757 1.73532 -3.25989  0.2301
22 H 0.96767 1.49242 -0.92252  0.1587
23 H 2.17038 2.34512 -1.76972  0.3781
24 H 2.33625 0.58786 -1.42652  0.2039

The following is a DFT calculation (ωB97M-V/def2-TZVPD) of 2 unconnected molecules or ions with the total composition C9H14O in a non-equilibrium geometry.

Very soon I'll be the only Australia left on these boards. I just need the others to post "King of Page X" posts now.

ill never be banned I'm a good noodle

ill probably regret saying that in a year and someone will quote this

It should just be a bannable offense, no exceptions. There's thousands of "king of page x" posts and they clutter up every long thread.

It should just be a bannable offense, no exceptions. There's thousands of "king of page x" posts and they clutter up every long thread.

Here the page breaks off for records of molecules
{
  "formula": "C8H7NO4",
  "method": "the ωB97M-V functional and the def2-TZVPD basis",
  "lumo_energy_ev": [0.0, -3.8],
  "relative_energy_ev": 0.894,
  "orbital_gap_ev": [7.523, 5.446],
  "s_squared": 2.03,
  "spin_multiplicity": 3,
  "species": ["C", "C", "C", "C", "C", "C", "C", "C", "N", "O", "O", "O", "O", "H", "H", "H", "H", "H", "H", "H"],
  "coordinates": [[2.3155, -1.3256, 1.1660], [1.1080, -0.6665, 1.2029], [2.8381, -1.0301, -0.1132], [0.9230, -0.0512, 0.0357], [-2.0556, 0.2976, 0.9912], [-2.4192, -0.7527, -0.0803], [-0.2105, 0.7603, -0.3825], [-0.3334, 1.3900, -1.7573], [-1.1094, 1.1061, 0.6705], [-0.5848, 2.0368, 1.3078], [-3.5338, -1.2720, -0.1003], [1.9643, -0.2568, -0.7704], [-1.4392, -1.0569, -0.8689], [2.5567, -2.1298, 1.8951], [0.3169, -0.6333, 1.9469], [3.5061, -1.4761, -0.7361], [-2.6006, 0.4620, 1.8290], [0.5694, 1.4612, -2.2539], [-0.7474, 2.3875, -1.6195], [-1.0640, 0.7496, -2.3626]],
  "lowdin_charge": [0.0068, -0.0152, -0.0272, -0.2263, 0.0937, -0.5211, -0.1682, 0.0133, -0.2492, 0.0160, 0.0912, 0.0942, 0.1514, 0.1327, 0.1405, 0.1017, 0.1119, 0.0511, 0.0902, 0.1125]
}



{
  "formula": "C8H7NO4Yb",
  "method": "the ωB97M-V functional and the def2-TZVPD basis",
  "lumo_energy_ev": [-13.6, -15.8],
  "relative_energy_ev": 7.915,
  "orbital_gap_ev": [7.167, 4.907],
  "s_squared": 0.75,
  "charge": 3,
  "spin_multiplicity": 2,
  "species": ["Yb", "O", "C", "C", "O", "C", "O", "C", "O", "C", "H", "H", "C", "H", "H", "C", "C", "N", "H", "H", "H"],
  "coordinates": [[0.0014, 0.0039, 0.1734], [0.1461, 3.1213, 0.6020], [0.0927, 1.9755, 0.4366], [-0.0955, -1.9830, 0.2763], [-0.1513, -3.1378, 0.3354], [1.9851, -0.0943, 0.2469], [3.1396, -0.1497, 0.2782], [-1.9842, 0.0962, 0.2041], [-3.1389, 0.1516, 0.2082], [0.0311, 0.6550, -4.8554], [-0.8662, 1.2940, -4.9735], [0.9880, 1.2049, -4.9534], [-0.0313, -0.6551, -4.9111], [0.8694, -1.2832, -5.0585], [-0.9847, -1.1941, -5.0788], [0.0000, 0.0001, 4.9732], [0.0001, 0.0004, 3.5158], [-0.0014, -0.0058, 2.3962], [-0.8951, 0.5168, 5.3948], [0.8951, 0.5168, 5.3948], [0.0000, -1.0336, 5.3948]],
  "lowdin_charge": [0.7750, 0.2677, -0.0746, -0.0709, 0.2677, -0.0698, 0.2704, -0.0690, 0.2701, 0.2135, 0.1430, 0.1428, 0.2169, 0.1438, 0.1440, 0.0178, -0.0953, 0.1117, 0.1318, 0.1317, 0.1318]
}



{
  "formula": "C8H7NO5S",
  "method": "the ωB97M-V functional and the def2-TZVPD basis",
  "lumo_energy_ev": -0.6,
  "relative_energy_ev": 0.000,
  "orbital_gap_ev": 7.764,
  "smiles": "C=C(C#N)C(=O)O.Oc1csc(O)c1O",
  "species": ["C", "C", "C", "N", "C", "O", "O", "H", "H", "H", "O", "C", "C", "S", "C", "O", "C", "O", "H", "H", "H", "H"],
Back to the page

not if its a pretty big milestone like 100 or 1000 pages

however imo the post should still contribute to the thread

king of page 5!!

User was banned for this post

How long is this ban? Anybody know?

king of page 5!!

User was banned for this post

How long is this ban? Anybody know?

I honestly don't know. For everyone else it seems to be 3 days, however Bolsters been through around 5 accounts and on top of that was being a snarky richard.

queen of page 5!!!!!

Why was Darryl banned and MYST wasn't? Didn't they do the same thing?

You're actually buying his story?  Marios just closed his eyes, didn't look at anything in the thread, then some how by cosmic coincidence typed exactly the same thing that a dozen people before him had typed?  You believe this?  That's what 'critical thinking' is to you - just naively believing what children tell you?

Honestly, it doesn't even matter - if his excuse is true (which it isn't), then we can just update his ban reason to be "posting without reading the thread".
Which kids are telling me a story that I'm naively believing? I'm not in contact with them.

I mean sure marios could have prefaced his post with "I hate people" so that is read "I hate people claiming x of page x". That would be redundant though, given the topic title.
It's similar to people who constantly preface their opinions with "IMO". It's pointless and just looks weak.

You could be right that he was trying to be clever, but personally I'd give him the benefit of the doubt in that situation.
You're being overly cynical and suspicious.

I'm starting to understand why people constantly complain about your server.  
That doesn't seem relevant, but okay.

As I am about to reply it shows all the previous posts. Mario's can't honestly say he never saw the spam.
unless he used quick reply

I honestly, deeply and truly believe that there's no way Marios didn't see the other post(s) before replying, and I cannot understand why Tezuni wants to back this moron up. He either saw the rest of the posts and then posted anyway, proving he's an idiot and was contributing to the chain, or he didn't look and proved he was an idiot for not understanding the context of the post above his (which you should be doing in any forum topic unless it's a silly "Post your X" game where no context is necessary).

Part of posting in drama is having situational awareness, because otherwise you get people who bump 5 month old topics and people who start pointless, irrelevant debates. Fun fact: Clicking on the topic name if it appears on the homepage or the name on the board page will take you to the latest unread post. That either means Mario was taken to the right page and then ignored what was right in front of him, or he directly skipped to the end and commented on a single post even when all the context he needed was right in front of him (as you can see when you hit the reply button and look at the bottom of the post editor).

What comes next are molecular data, not part of the entry:
____________
(1)
{
  "formula": "C5H14N2S",
  "method": "wB97M-V/def2-TZVPD",
  "symbols": ["S", "N", "N", "C", "C", "C", "C", "C", "H", "H", "H", "H", "H", "H", "H", "H", "H", "H", "H", "H", "H", "H"],
  "xyz": [[-1.953731, 2.295116, 0.160433], [0.800407, -2.518430, 0.067644], [1.046889, 0.113586, -0.741824], [-0.036268, -1.427775, 0.781328], [0.996092, 0.995147, -1.912657], [2.043269, -2.670921, 0.854350], [-0.937228, 0.888703, 0.888425], [-0.294083, -0.131923, -0.096484], [1.977634, 0.940715, -2.427944], [1.678615, 0.602759, -0.103609], [-1.092648, -0.557482, -0.852538], [-1.625574, 0.435858, 1.613350], [-0.076055, 1.276498, 1.447106], [1.870783, -2.635306, 1.896653], [2.833638, -1.964028, 0.453245], [2.429132, -3.635893, 0.528992], [0.588175, 2.004816, -1.590335], [-1.591100, 2.260961, -1.092795], [-1.040183, -1.749160, 1.036451], [0.434478, -1.103084, 1.706591], [1.023575, -2.414890, -0.910314], [0.287460, 0.730884, -2.642295]],
  "atomic_forces_ev_per_a": [[0.1, -0.6, 1.4], [1.1, 3.9, 3.6], [-1.4, 0.1, -0.1], [-0.9, 0.4, -1.2], [0.3, 1.5, 0.7], [0.3, -1.2, -2.7], [0.6, 0.6, -1.0], [-0.6, -2.6, -0.7], [-0.5, 0.7, 0.5], [-0.3, -0.4, 0.3], [1.8, 1.5, 0.8], [0.2, -0.2, -0.3], [-0.3, 0.3, 0.1], [-0.1, 0.2, 0.9], [-1.1, -0.3, 0.5], [0.3, -0.3, 0.4], [1.3, -0.6, -0.6], [0.5, -0.3, -0.9], [0.0, -0.8, 0.0], [0.5, -0.6, 0.0], [-0.7, -0.1, -0.9], [-1.0, -1.2, -0.8]],
  "spin_multiplicity": 2,
  "homo_ha": [-0.458, -0.458],
  "charge": 1
}

(2)
{
  "formula": "C5H14N2Si",
  "method": "wB97M-V/def2-TZVPD",
  "symbols": ["Si", "N", "N", "C", "C", "C", "C", "C", "H", "H", "H", "H", "H", "H", "H", "H", "H", "H", "H", "H", "H", "H"],
  "xyz": [[1.356616, -0.053161, 0.123535], [-2.195200, -0.649577, 0.364960], [-2.656321, 0.414122, 0.148297], [-4.096936, 0.604007, -0.198959], [3.013093, 0.118170, 1.041090], [1.472148, -1.504788, -1.177090], [0.110400, -0.780763, 1.399109], [0.653339, 1.540905, -0.724032], [0.521521, -1.876701, -1.414879], [2.130373, -1.217026, -2.029225], [3.473192, 1.002360, 0.619672], [1.226164, 2.094764, -1.459045], [2.934201, 0.016801, 2.051200], [1.930917, -2.312308, -0.644044], [-4.659991, 1.026991, 0.573307], [-0.275555, -0.237871, 2.222360], [0.182387, 2.251197, -0.106911], [-0.182297, 1.230943, -1.416388], [-4.399028, -0.410702, -0.268524], [3.726719, -0.678092, 0.711588], [-4.092214, 1.213144, -1.149067], [-0.173529, -1.792417, 1.333041]],
  "atomic_forces_ev_per_a": [[-1.2, -1.3, 0.0], [-0.9, 1.1, -0.4], [1.2, -0.2, 0.9], [1.4, -0.5, -2.0], [0.5, -0.8, -4.1], [1.7, 2.1, 0.8], [1.2, 1.4, -1.6], [-0.6, -1.6, -1.6], [-1.4, -0.1, -0.9], [-0.8, -0.4, 0.3], [0.3, 0.6, 0.7], [0.9, 0.0, 0.2], [-0.2, 0.4, 2.8], [0.6, -0.5, 0.4], [-0.4, 1.2, 1.2], [-0.3, 0.4, 0.8], [-0.4, 0.9, 1.2], [0.5, -0.3, 0.9], [-1.1, -0.8, -0.9], [-0.7, 0.3, 0.1], [-0.4, -0.8, 1.1], [-0.2, -1.1, 0.1]],
  "homo_ha": [-0.292, -0.284],
  "charge": 0
}

~~~~~

Molecular formula: C37H44AuN6P2Si2
Method: DFT, the ωB97M-V functional and the def2-TZVPD basis

Element x y z (Å)
____________

That said, the server thing did feel like a cheap insult, I'm not in favour of that.

unless he used quick reply
Real Talk: How do you get Quick Reply? I've never found it.

Most likely not, Darryl just did it in a sarcastic and mocking way, so he was banned for it

I just realized you're under another name.

Real Talk: How do you get Quick Reply? I've never found it.
profile > look and layout preferences >

profile > look and layout preferences >
Oh cool, thanks. Haven't really dived into those options yet.

I honestly, deeply and truly believe that there's no way Marios didn't see the other post(s) before replying, and I cannot understand why Tezuni wants to back this moron up. He either saw the rest of the posts and then posted anyway, proving he's an idiot and was contributing to the chain, or he didn't look and proved he was an idiot for not understanding the context of the post above his (which you should be doing in any forum topic unless it's a silly "Post your X" game where no context is necessary).
Hold on, I don't really think he was intentionally trying to add to the chain and he was just saying that people who make those posts annoy him. I don't think he had to look at anyone elses posts either. Im thinking it's like a "Post your favorite albums" thread. You aren't gonna look through everyone's posts and quote an album here and quote one there, you're just gonna post your favorites without looking to see if some people posted them already.

If that makes sense